MaTHiSiS - educational scheme based on custom-made and adaptable learning goals and educational material

Nov. 1, 2017, 1:10 p.m.


Release Date: 01/11/2017


Three-year EU Co-funded Project to create a ubiquitous e-learning ecosystem for Mainstream & Special Education, Industrial Training and Career Guidance

MaTHiSiS is a 36-month project funded by the European Union under the H2020 work programme that will assist the educational process for learners and their tutors and caregivers by creating a novel and continuously adaptable "robot/machine/computer"-human interaction ecosystem. This system enhances vocational training, workplace learning and mainstream education. The project is implemented by the MaTHiSiS consortium that consists of 18 partners from 9 different Member States. The consortium is very well balanced including research centres, universities, public administrations, and big and small companies.  This ensures the innovation value chain merging technologies and education together. From a technological aspect, the MaTHiSiS project makes use of cutting-edge technologies that range from specialized robots and mobile devices, to interactive whiteboards, and advance these to a greater degree of integration into the market. As a result having the “ICT use in Education” market in mind MaTHiSiS creates a whole new educational ecosystem-as-a-product, seamlessly adaptable to specific needs. In order to ensure the wider use of MaTHiSiS products, there have been 5 diverse use cases selected, covering a wide spectrum of users, spanning from regular learners and trainees to learners with special needs and learning difficulties. These use cases are being tested through three different pilot phases:

Driver, Assisted and Real-life pilots. This three-phase approach allows testing the MaTHiSiS system throughout the project’s lifetime in an iterative and augmented way and thus, ensuring the adaptability of the system.

Driver Pilots sessions within Autism Spectrum Case, Profound and Multiple Learning Disabilities Case and Mainstream Education Case working with students aged 5 to 18 years old, teachers, and tutors ran in May 2017 in order to configure and setup the system. This pilot stage was challenging both for educational and technical partners, but nevertheless it was successfully completed.  Challenges were related to the development of teachers and students’ familiarity with the use of ICT for teaching and learning, the availability and integration of the technical equipment within the organization of the traditional learning environment, and the adequacy of MaTHiSiS learning scenarios and materials to students learning goals and the school curriculum. All positive and negative feedback was discussed among partners. The action plan is already in place to progress on the further development of MaTHiSiS looking forward to the Assisted Pilot phase. Ms. Sophie Higson, a teacher from Nottingham Bluecoat Academy (UK), who participated in the pilot sessions, stated : “'This is an ambitious project which will help teachers to measure engagement of learners in new and exciting ways and improve student progression”.

........
1:
VASP calculation (PBE) on a relaxed LiCuPO4 crystal.

a b c (Å): 7.759 8.484 17.367
angles (deg): 62.15 90.00 90.00
Fractional positions:
Li (0.029, 0.722, 0.059)
Li (0.954, 0.362, 0.408)
Li (0.149, 0.015, 0.754)
Li (0.649, 0.985, 0.746)
Li (0.454, 0.638, 0.092)
Li (0.529, 0.278, 0.441)
Li (0.471, 0.722, 0.559)
Li (0.546, 0.362, 0.908)
Li (0.351, 0.015, 0.254)
Li (0.851, 0.985, 0.246)
Li (0.046, 0.638, 0.592)
Li (0.971, 0.278, 0.941)
Cu (0.738, 0.373, 0.590)
Cu (0.766, 0.663, 0.226)
Cu (0.730, 0.957, 0.924)
Cu (0.230, 0.043, 0.576)
Cu (0.266, 0.337, 0.274)
Cu (0.238, 0.627, 0.910)
Cu (0.762, 0.373, 0.090)
Cu (0.734, 0.663, 0.726)
Cu (0.770, 0.957, 0.424)
Cu (0.270, 0.043, 0.076)
Cu (0.234, 0.337, 0.774)
Cu (0.262, 0.627, 0.410)
P (0.340, 0.362, 0.594)
P (0.179, 0.698, 0.223)
P (0.328, 0.968, 0.925)
P (0.828, 0.032, 0.575)
P (0.679, 0.302, 0.277)
P (0.840, 0.638, 0.906)
P (0.160, 0.362, 0.094)
P (0.321, 0.698, 0.723)
P (0.172, 0.968, 0.425)
P (0.672, 0.032, 0.075)
P (0.821, 0.302, 0.777)
P (0.660, 0.638, 0.406)
O (0.493, 0.554, 0.392)
O (0.143, 0.586, 0.323)
O (0.207, 0.924, 0.004)
O (0.640, 0.829, 0.128)
O (0.780, 0.478, 0.465)
O (0.006, 0.746, 0.172)
O (0.250, 0.247, 0.682)
O (0.721, 0.130, 0.796)
O (0.499, 0.867, 0.964)
O (0.382, 0.246, 0.549)
O (0.791, 0.415, 0.308)
O (0.750, 0.104, 0.634)
O (0.291, 0.585, 0.192)
O (0.250, 0.896, 0.866)
O (0.882, 0.754, 0.951)
O (0.999, 0.133, 0.536)
O (0.221, 0.870, 0.704)
O (0.506, 0.254, 0.328)
O (0.750, 0.753, 0.818)
O (0.280, 0.522, 0.035)
O (0.140, 0.171, 0.372)
O (0.707, 0.076, 0.496)
O (0.643, 0.414, 0.177)
O (0.993, 0.446, 0.108)
O (0.007, 0.554, 0.892)
O (0.357, 0.586, 0.823)
O (0.293, 0.924, 0.504)
O (0.860, 0.829, 0.628)
O (0.720, 0.478, 0.965)
O (0.250, 0.247, 0.182)
O (0.494, 0.746, 0.672)
O (0.779, 0.130, 0.296)
O (0.001, 0.867, 0.464)
O (0.118, 0.246, 0.049)
O (0.750, 0.104, 0.134)
O (0.709, 0.415, 0.808)
O (0.250, 0.896, 0.366)
O (0.209, 0.585, 0.692)
O (0.618, 0.754, 0.451)
O (0.501, 0.133, 0.036)
O (0.279, 0.870, 0.204)
O (0.750, 0.753, 0.318)
O (0.994, 0.254, 0.828)
O (0.220, 0.522, 0.535)
O (0.360, 0.171, 0.872)
O (0.793, 0.076, 0.996)
O (0.857, 0.414, 0.677)
O (0.507, 0.446, 0.608)

Properties
ρ   3.3 g/cm3
Symmetry   P2_1/c, No. 14

=====

2:
VASP calculation (PBE) on a relaxed LiCuPO4 crystal.

a b c (Å): 5.869 5.624 10.582
angles (deg): 71.02 90.00 90.00
Fractional positions:
Li (0.338, 0.295, 0.934)
Li (0.838, 0.705, 0.566)
Li (0.162, 0.295, 0.434)
Li (0.662, 0.705, 0.066)
Cu (0.403, 0.746, 0.642)
Cu (0.903, 0.254, 0.858)
Cu (0.097, 0.746, 0.142)
Cu (0.597, 0.254, 0.358)
P (0.316, 0.825, 0.392)
P (0.816, 0.175, 0.108)
P (0.184, 0.825, 0.892)
P (0.684, 0.175, 0.608)
O (0.192, 0.109, 0.809)
O (0.733, 0.346, 0.693)
O (0.552, 0.766, 0.465)
O (0.147, 0.757, 0.514)
O (0.647, 0.243, 0.986)
O (0.052, 0.234, 0.035)
O (0.308, 0.109, 0.309)
O (0.767, 0.346, 0.193)
O (0.233, 0.654, 0.807)
........

Assisted Pilots will run during November 2017, where people at the venues will setup and configure the system under MaTHiSiS consortium physical guidance.

Real-life Pilots will run in 2018 seeking to implement the final tests. Pilots are an essential tool for quality assurance for the whole project.  Collected data in each of these phases is analyzed and has a significant impact on the structure of the following pilot phase.

MaTHiSiS project is being financed by the European Commission under Grant agreement 687772.